It remains to quote the rows underneath from the line with "0.6667 0.3333" to the end without additions.
=====
[1]
For SrAuI6, a structure optimized by DFT (PBE) gives the simulated X-ray powder pattern in this record (Cu Ka).
Kinematic intensities with the Lorentz-polarization factor, no thermal factor.

Peak list (10 most intense, 10° ≤ 2θ ≤ 90°, in order of rising 2θ)
hkl  two_theta  I (rel.)
1 0 0  14.4  19
1 0 -1  21.1  100
0 0 2  23.3  25
1 1 -1  24.7  27
2 0 1  27.8  27
0 2 -1  29.4  43
1 -2 0  31.0  55
1 1 3  35.0  24
2 0 -2  43.0  19
-2 2 1  44.9  20

abc: 6.4901 6.8771 8.0379
angles: 84.47 71.95 83.94
Space group P-1 (No. 2)
Symmetry-distinct sites (fractional):
Sr1 0.0000 0.0000 0.0000 x1
Au1 0.0000 0.5000 0.5000 x1
I1 0.1835 0.1479 0.5741 x2
I2 0.1914 0.6301 0.7176 x2
I3 0.4918 0.7568 0.0053 x2

[2]
For Er2B6Ir9, a structure optimized by DFT (PBE) gives the simulated X-ray powder pattern in this record (Cu Ka).
Kinematic intensities with the Lorentz-polarization factor, no thermal factor.

Peak list (10 most intense, 10° ≤ 2θ ≤ 90°, in order of rising 2θ)
hkl  two_theta  I (rel.)
0 0 3  31.0  25
1 0 3  36.2  33
2 0 0  36.8  100
1 1 3  45.0  21
2 0 3  48.9  48
2 1 3  59.5  16
2 2 0  66.3  21
2 2 3  75.0  13
2 0 6  76.8  18
4 0 0  78.3  12

abc: 5.6411 5.6411 8.6459
angles: 90.00 90.00 120.00
Space group P6/mmm (No. 191)
Symmetry-distinct sites (fractional):
Er1 0.0000 0.0000 0.2026 x2
B1 0.3333 0.6667 0.1674 x4
B2 0.3333 0.6667 0.5000 x2
Ir1 0.0000 0.5000 0.0000 x3
Ir2 0.0000 0.5000 0.3356 x6

* * * * *

No. 1
For U3Al19Ni5, a cell relaxed with GGA-PBE gives the computed PXRD pattern in this record (a wavelength of 1.5418 Å).

Structure:
Cell: 4.066 15.943 27.011 Å, 90.00 90.00 90.00°
Space group Cmcm (No. 63)
Unique sites:
1 U 0.000 0.116 0.250 x4
2 U 0.000 0.333 0.136 x8
3 Al 0.000 0.037 0.602 x8
4 Al 0.000 0.078 0.701 x8
5 Al 0.000 0.093 0.037 x8
6 Al 0.000 0.131 0.136 x8
7 Al 0.000 0.265 0.029 x8
8 Al 0.000 0.276 0.694 x8
9 Al 0.000 0.292 0.589 x8
10 Al 0.000 0.306 0.250 x4
11 Al 0.000 0.432 0.031 x8
12 Al 0.000 0.464 0.674 x8
13 Ni 0.000 0.159 0.542 x8
14 Ni 0.000 0.447 0.584 x8
15 Ni 0.000 0.456 0.250 x4

Most intense lines, 2θ from 10° to 90°, by angle:
| h k l | 2theta | d [Å] | I_rel |
| --- | --- | --- | --- |
| 0 2 3 | 14.84 | 5.968 | 71 |
| 0 2 5 | 19.85 | 4.472 | 50 |
| 1 1 1 | 22.81 | 3.899 | 67 |
| 1 1 4 | 26.19 | 3.403 | 46 |
| 1 3 4 | 30.69 | 2.913 | 91 |
| 1 5 0 | 35.79 | 2.509 | 32 |
| 1 5 1 | 35.95 | 2.498 | 45 |
| 1 1 9 | 37.68 | 2.387 | 100 |
| 1 5 5 | 39.60 | 2.276 | 33 |
| 2 0 0 | 44.57 | 2.033 | 50 |

No. 2
For Zr2CdO4, a cell relaxed with GGA-PBE gives the computed PXRD pattern in this record (a wavelength of 1.5418 Å).

Structure:
Cell: 9.392 9.392 9.392 Å, 90.00 90.00 90.00°
Space group Fd-3m (No. 227, origin choice 2)
Unique sites:
1 Zr 0.000 0.000 0.000 x16
2 Cd 0.125 0.125 0.625 x8
3 O 0.020 0.020 0.230 x32

Most intense lines, 2θ from 10° to 90°, by angle:
| h k l | 2theta | d [Å] | I_rel |
| --- | --- | --- | --- |
| 2 2 0 | 26.85 | 3.321 | 38 |
| 3 1 1 | 31.60 | 2.832 | 100 |
| 2 2 2 | 33.04 | 2.711 | 16 |
| 4 0 0 | 38.34 | 2.348 | 8 |
| 4 2 2 | 47.42 | 1.917 | 14 |
| 5 1 1 | 50.49 | 1.807 | 41 |
| 4 4 0 | 55.33 | 1.660 | 40 |
| 5 3 3 | 65.13 | 1.432 | 12 |
| 6 2 2 | 65.98 | 1.416 | 9 |
| 5 5 3 | 78.17 | 1.223 | 20 |

No. 3
For NiMo4PbN2, a cell relaxed with GGA-PBE gives the computed PXRD pattern in this record (a wavelength of 1.5418 Å).

Structure:
Cell: 3.2653 3.2653 12.2493 Å, 90.00 90.00 120.00°
Space group P-6m2 (No. 187)
Unique sites:
1 Ni 0.0000 0.0000 0.0000 x1
2 Mo 0.0000 0.0000 0.3034 x2
3 Mo 0.3333 0.6667 0.1404 x2
4 Pb 0.3333 0.6667 0.5000 x1
5 N 0.6667 0.3333 0.2323 x2

Most intense lines, 2θ from 10° to 90°, by angle:
| h k l | 2theta | d [Å] | I_rel |
| --- | --- | --- | --- |
| 1 0 0 | 31.64 | 2.828 | 33 |
| 1 0 2 | 34.95 | 2.567 | 25 |
| 0 0 5 | 36.68 | 2.450 | 10 |
| 1 0 3 | 38.73 | 2.325 | 100 |
| 1 0 5 | 49.21 | 1.852 | 10 |
| 1 0 6 | 55.52 | 1.655 | 10 |
| 1 1 0 | 56.35 | 1.633 | 27 |
| 1 0 8 | 69.86 | 1.346 | 11 |
| 2 0 3 | 70.48 | 1.336 | 17 |
=====
5 N 0.6667 0.3333 0.2323 x2

Most intense lines, 2θ from 10° to 90°, by angle:
| h k l | 2theta | d [Å] | I_rel |
| --- | --- | --- | --- |
| 1 0 0 | 31.64 | 2.828 | 33 |
| 1 0 2 | 34.95 | 2.567 | 25 |
| 0 0 5 | 36.68 | 2.450 | 10 |
| 1 0 3 | 38.73 | 2.325 | 100 |
| 1 0 5 | 49.21 | 1.852 | 10 |
| 1 0 6 | 55.52 | 1.655 | 10 |
| 1 1 0 | 56.35 | 1.633 | 27 |
| 1 0 8 | 69.86 | 1.346 | 11 |
| 2 0 3 | 70.48 | 1.336 | 17 |